## To do
Next, give back every line further below that contains the word "Sr1".

## Entries
(1)
# SrHfO3 (GGA-PBE, relaxed)
data_SrHfO3
_chemical_formula_sum 'Sr1 Hf1 O3'
_symmetry_space_group_name_H-M 'P 4 m m'
_symmetry_Int_Tables_number 99
_cell_length_a 4.138
_cell_length_b 4.138
_cell_length_c 4.147
_cell_angle_alpha 90.00
_cell_angle_beta 90.00
_cell_angle_gamma 90.00
loop_
_symmetry_equiv_pos_as_xyz
'x,y,z'
'-y,x,z'
'-x,-y,z'
'y,-x,z'
'-x,y,z'
'y,x,z'
'x,-y,z'
'-y,-x,z'
loop_
_atom_site_label
_atom_site_type_symbol
_atom_site_fract_x
_atom_site_fract_y
_atom_site_fract_z
Sr1 Sr 0.000 0.000 0.000
Hf1 Hf 0.500 0.500 0.478
O1 O 0.000 0.500 0.460
O2 O 0.500 0.500 0.971
# Largest piezoelectric modulus = 8.74 C/m2
# E_tot = -43.3 eV/cell
# Calculated formation energy = -3.780 eV per atom

(2)
# Ba4Nd2Cd3Se10 (GGA-PBE, relaxed)
data_Ba4Nd2Cd3Se10
_chemical_formula_sum 'Ba16 Nd8 Cd12 Se40'
_symmetry_space_group_name_H-M 'C m c 21'
_symmetry_Int_Tables_number 36
_cell_length_a 4.402
_cell_length_b 19.200
_cell_length_c 28.055
_cell_angle_alpha 90.00
_cell_angle_beta 90.00
_cell_angle_gamma 90.00
loop_
_symmetry_equiv_pos_as_xyz
'x,y,z'
'-x,-y,z+1/2'
'-x,y,z'
'x,-y,z+1/2'
'x+1/2,y+1/2,z'
'-x+1/2,-y+1/2,z+1/2'
'-x+1/2,y+1/2,z'
'x+1/2,-y+1/2,z+1/2'
loop_
_atom_site_label
_atom_site_type_symbol
_atom_site_fract_x
_atom_site_fract_y
_atom_site_fract_z
Ba1 Ba 0.000 0.075 0.000
Ba2 Ba 0.000 0.094 0.819
Ba3 Ba 0.000 0.334 0.048
Ba4 Ba 0.000 0.334 0.765
Nd1 Nd 0.000 0.003 0.658
Nd2 Nd 0.000 0.418 0.904
Cd1 Cd 0.000 0.285 0.426
Cd2 Cd 0.000 0.344 0.196
Cd3 Cd 0.000 0.352 0.612
Se1 Se 0.000 0.079 0.333
Se2 Se 0.000 0.093 0.476
Se3 Se 0.000 0.154 0.167
Se4 Se 0.000 0.156 0.639
Se5 Se 0.000 0.263 0.888
Se6 Se 0.000 0.290 0.280
Se7 Se 0.000 0.293 0.526
Se8 Se 0.000 0.428 0.410
Se9 Se 0.000 0.485 0.228
Se10 Se 0.000 0.490 0.584
# E_tot = -337.2 eV/cell
# Calculated formation energy = -1.793 eV per atom

(3)
# Pb4S2O7 (GGA-PBE, relaxed)
data_Pb4S2O7
_chemical_formula_sum 'Pb8 S4 O14'
_symmetry_space_group_name_H-M 'P -1'
_symmetry_Int_Tables_number 2
_cell_length_a 6.470
_cell_length_b 7.958
_cell_length_c 10.473
_cell_angle_alpha 89.99
_cell_angle_beta 78.86
_cell_angle_gamma 88.18
loop_
_symmetry_equiv_pos_as_xyz
'x,y,z'
'-x,-y,-z'
loop_
_atom_site_label
_atom_site_type_symbol
_atom_site_fract_x
_atom_site_fract_y
_atom_site_fract_z
Pb1 Pb 0.176 0.405 0.195
Pb2 Pb 0.213 0.131 0.532
Pb3 Pb 0.223 0.866 0.184
Pb4 Pb 0.246 0.623 0.487
S1 S 0.275 0.657 0.922
S2 S 0.312 0.873 0.811
O1 O 0.011 0.345 0.744
O2 O 0.105 0.363 0.422
O3 O 0.143 0.873 0.732
O4 O 0.146 0.893 0.419
O5 O 0.296 0.022 0.895
O6 O 0.349 0.621 0.266
O7 O 0.477 0.149 0.275
# E_tot = -138.8 eV/cell
# Calculated formation energy = -1.267 eV per atom

(4)
# Ho6InCo2 (GGA-PBE, relaxed)
data_Ho6InCo2
_chemical_formula_sum 'Ho24 In4 Co8'
_symmetry_space_group_name_H-M 'I m m m'
_symmetry_Int_Tables_number 71
_symmetry_space_group_name_Hall '-I 2 2'
_cell_length_a 9.364
_cell_length_b 9.566
_cell_length_c 9.950
_cell_angle_alpha 90.00
_cell_angle_beta 90.00
_cell_angle_gamma 90.00
loop_
_atom_site_label
_atom_site_type_symbol
_atom_site_fract_x
_atom_site_fract_y
_atom_site_fract_z
Ho1 Ho 0.000 0.211 0.232
Ho2 Ho 0.196 0.500 0.185
Ho3 Ho 0.212 0.313 0.500
In1 In 0.000 0.000 0.000
In2 In 0.000 0.000 0.500
Co1 Co 0.000 0.376 0.000
Co2 Co 0.000 0.500 0.387
# E_tot = -187.7 eV/cell
# Calculated formation energy = -0.275 eV per atom

- E_tot of number 3 (Pb4S2O7)?
  -138.8 eV/cell

Please write out number 2 again, unchanged.
# Ba4Nd2Cd3Se10 (GGA-PBE, relaxed)
data_Ba4Nd2Cd3Se10
_chemical_formula_sum 'Ba16 Nd8 Cd12 Se40'
_symmetry_space_group_name_H-M 'C m c 21'
_symmetry_Int_Tables_number 36
_cell_length_a 4.402
_cell_length_b 19.200
_cell_length_c 28.055
_cell_angle_alpha 90.00
_cell_angle_beta 90.00
_cell_angle_gamma 90.00
loop_
_symmetry_equiv_pos_as_xyz
'x,y,z'
'-x,-y,z+1/2'
'-x,y,z'
'x,-y,z+1/2'
'x+1/2,y+1/2,z'
'-x+1/2,-y+1/2,z+1/2'
'-x+1/2,y+1/2,z'
'x+1/2,-y+1/2,z+1/2'
loop_
_atom_site_label
_atom_site_type_symbol
_atom_site_fract_x
_atom_site_fract_y
_atom_site_fract_z

## Reply
_chemical_formula_sum 'Sr1 Hf1 O3'
Sr1 Sr 0.000 0.000 0.000